Running out of time advice please

Morning all,

After a bit of advice please. A driver has run out of time whilst tipping in our yard. He’s pulled off the bay into a parking bay and shut his curtains. Does this require the use of pink chalk?

Also, we’re not too sure of our pink chalk levels, is it acceptable to substitute blue chalk?


Sorry you’re gonna have to send out for pink chalk, no exceptions. Have you taken his breakfast order?

make sure he doesn’t trip over any blue bollards

AFAIK blue chalk can ONLY be used to designate a weekly rest period.
To use it for signifying DAILY rest is a crime against humanity and is punishable by death or worse.
Plus, one little known ruling (honest MMTM) is that all vehicles operating within 100 yds must maintain a noise level of less than 60 db whilst the chalk is there.
I assume that you are using “waterproof” chalk in case of rain?

Have you also ensured that the police have attended and also placed their own chalk next to the pink chalk marks?

And I hope you’ve cordoned off the entire industrial estate and the two streets either side. Also hse requires you to provide wind breakers on all sides for it to be classed as an official break, or he’s perfectly entitled to start his 11 hrs again if the wind wakes him up ten mins early :laughing:

Morning all,After a bit of advice please. A driver has run out of time whilst tipping in our yard. He’s pulled off the bay into a parking bay and shut his curtains. Does this require the use of pink chalk? Also, we’re not too sure of our pink chalk levels, is it acceptable to substitute blue chalk? Cheers

**Here the piece breaks off for quantum chemistry results**
-- begin --
Entry 1:
# C5H11NO

One molecule with the formula C5H11NO (wB97M-V/def2-TZVPD, OMol25).

Geometry as XYZ:
```
18
Properties=species:S:1:pos:R:3
C 0.150 1.725 -0.524
C 0.678 0.310 -0.254
C 1.092 0.210 1.378
N -0.275 -0.728 -0.601
C -1.342 -0.698 0.358
C 0.162 -1.922 -1.119
O 1.185 -2.085 -1.752
H -0.657 1.963 0.177
H 0.976 2.417 -0.338
H -0.213 1.910 -1.546
H 1.544 0.112 -0.911
H 1.770 -0.632 1.532
H 1.592 1.149 1.590
H 0.420 0.126 2.275
H -2.013 0.141 0.174
H -1.899 -1.628 0.375
H -0.810 -0.498 1.289
H -0.537 -2.757 -0.904
```

Output
Gap between HOMO and LUMO = 10.3 eV
HOMO = -9.4 eV
DFT total energy = -8900.135 eV
SMILES string = CC(C)N(C)C=O
LUMO level = 0.899 eV
Relative energy (zero: lowest compared OMol25 entry of this formula, charge and spin) = 150.7 kJ/mol

Entry 2:
# C35H67AsFeI2N2O3SSi3

C35H67AsFeI2N2O3SSi3 as an isolated structure (wB97M-V/def2-TZVPD, OMol25).

Geometry as XYZ:
```
115
Properties=species:S:1:pos:R:3
Fe -2.128 1.415 0.188
I -4.090 2.925 1.103
C -4.005 4.865 0.150
I -1.889 2.282 -2.173
H -3.862 5.564 0.984
H -5.018 5.016 -0.241
C -1.111 -2.510 2.791
N -1.992 -1.816 1.872
C -3.158 -1.448 2.198
C -4.083 -0.863 1.252
C -5.380 -0.463 1.518
C -5.961 -0.039 0.308
C -5.007 -0.185 -0.665
N -3.849 -0.648 -0.107
C -1.409 -2.330 4.261
C -1.006 -1.175 4.923
C -1.308 -0.990 6.263
C -2.046 -1.945 6.951
C -2.475 -3.088 6.293
C -2.155 -3.278 4.955
H -0.100 -2.173 2.549
H -1.167 -3.575 2.538
H -3.564 -1.536 3.214
H -5.838 -0.464 2.494
H -6.952 0.360 0.174
H -5.055 0.045 -1.717
H -0.469 -0.413 4.368
H -0.976 -0.094 6.773
H -2.289 -1.798 7.996
H -3.058 -3.832 6.823
H -2.489 -4.172 4.439
C 2.507 3.331 2.286
Si 1.851 1.538 2.357
C 2.241 0.933 4.135
C 3.056 0.448 1.400
As -0.404 1.473 1.810
Si -1.176 2.841 3.536
C -2.790 2.109 4.271
C -0.166 3.156 5.136
C -1.533 4.634 2.966
H 3.579 3.400 2.491
H 1.982 3.956 3.014
H 2.321 3.760 1.299
H 3.308 1.044 4.342
H 1.992 -0.127 4.230
H 1.692 1.474 4.904
H 4.093 0.729 1.609
H 2.893 0.499 0.327
H 2.914 -0.594 1.694
H -2.627 1.726 5.282
H -3.149 1.280 3.657
H -3.588 2.852 4.312
H -0.044 2.244 5.724
H -0.693 3.885 5.755
H 0.828 3.552 4.917
H -1.498 4.699 1.876
H -0.790 5.334 3.362
H -2.522 4.974 3.281
C -1.951 -3.420 -1.927
C -3.051 -2.799 -1.066
C -4.422 -3.094 -1.673
C -2.809 -1.288 -0.931
H -2.004 -4.511 -1.878
H -0.967 -3.086 -1.598
H -2.073 -3.119 -2.971
H -2.996 -3.238 -0.067
H -4.511 -2.607 -2.649
H -5.240 -2.743 -1.040
H -4.545 -4.170 -1.821
H -2.846 -0.822 -1.917
H -1.817 -1.131 -0.512
C 3.828 -3.979 -3.353
C 3.974 -2.566 -2.782
C 3.936 -2.628 -1.253
C 5.305 -1.946 -3.228
O 2.918 -1.802 -3.332
Si 2.138 -0.440 -2.750
S 0.793 -0.868 -1.277
O 3.372 0.606 -2.338
C 3.428 2.028 -2.442
C 2.100 2.673 -2.043
C 4.536 2.492 -1.492
C 3.801 2.424 -3.877
O 1.526 0.235 -4.135
C 0.745 -0.319 -5.178
C -0.260 -1.348 -4.657
C -0.011 0.845 -5.821
C 1.678 -0.976 -6.203
H 4.627 -4.629 -2.987
H 3.868 -3.946 -4.444
H 2.862 -4.389 -3.054
H 4.709 -3.307 -0.883
H 2.955 -2.961 -0.917
H 4.101 -1.631 -0.844
-- stop --

hang fire! :laughing: I’ve got a direct line to special forces flight 5 at odiham :sunglasses: a chinook is on it’s way north :smiley: please don’t move an inch or wake the driver up at all! :grimacing: :grimacing: :grimacing: :grimacing: :grimacing: :grimacing: :grimacing:

Haha, is that the yellow merc parked opposite the RSU?

Don’t forget to corden off the bays/spaces on each side.

Some blokes with black rectangles over their eyes are stood around the truck making sure no one goes near it.

Haha, is that the yellow merc parked opposite the RSU?

Don’t forget to corden off the bays/spaces on each side.

Wouldn’t exactly call it ‘parked’… Abandoned is slightly more accurate :slight_smile:

Next to the piece, the page also holds molecular data >
-- begin --
# 1
The following is a quantum chemistry calculation of C32H38N3O3P2PbSeSi as an isolated structure, from OMol25.

Summary:
Calculated total energy   -5198.90895 Eh
Total charge   -1
Energy relative to the best compared isomer or geometry (same formula, charge and spin)   0.000 eV

Last column: Mulliken charge in e.
Cartesian coordinates (Å):
C (4.757, 0.751, -4.092)  -1.045
N (-1.754, -0.162, 2.027)  0.222
H (3.810, 2.754, -6.486)  0.266
H (-0.190, 0.790, 7.292)  0.389
N (2.056, -1.134, -1.617)  0.155
C (-5.130, -3.226, 0.027)  -0.538
P (-0.330, 0.791, 2.258)  0.416
C (-0.010, -2.193, -2.538)  0.195
C (-3.874, -2.630, -0.047)  -0.407
C (-5.990, -1.261, 1.116)  -0.633
C (1.191, -1.570, 1.855)  -0.228
H (4.684, 0.024, -3.276)  0.209
H (-6.817, -0.724, 1.564)  0.399
C (-1.731, 3.075, 5.331)  -0.644
Pb (0.788, 0.768, -1.656)  0.994
C (2.357, -2.323, 1.925)  -0.433
C (-2.717, 2.140, 0.272)  -0.049
H (4.241, -0.231, 3.801)  0.359
C (-3.673, -1.350, 0.458)  -0.186
C (3.451, -1.853, 2.636)  -0.566
H (-1.713, 3.066, 3.190)  0.379
C (-0.638, 1.385, 3.979)  0.493
H (2.660, 1.715, -7.331)  0.258
H (1.580, -0.919, -5.802)  0.292
C (1.103, -0.333, 2.494)  0.968
H (-1.790, -2.250, 2.522)  0.350
C (3.542, 1.714, -6.686)  -1.071
H (-1.463, -1.158, 3.869)  0.417
C (2.615, -0.920, -5.457)  -0.750
H (2.665, -1.546, -4.562)  -0.013
C (3.917, -0.015, -0.498)  -0.295
H (3.242, -1.372, -6.232)  0.404
C (-2.775, 0.936, -1.806)  -0.499
H (3.426, 1.990, -0.269)  0.194
C (-6.184, -2.545, 0.613)  -0.480
C (-0.536, 1.287, 6.394)  -0.743
H (0.361, -1.934, 1.262)  0.042
H (4.979, -0.052, -0.752)  0.315
H (-3.684, 4.168, -2.267)  0.371
H (-4.591, 0.340, 1.412)  0.360
C (3.272, -1.269, -1.087)  0.480
H (3.836, -0.115, 0.587)  -0.111
H (-1.556, 2.848, 7.461)  0.368
H (-2.324, 3.980, 5.395)  0.403
C (-3.368, 3.268, -1.754)  -0.564
C (-3.134, 3.292, -0.387)  -0.605
H (0.388, -0.139, 5.096)  0.374
H (2.186, 1.114, 3.662)  0.488
C (-3.191, 2.085, -2.460)  -0.550
C (-2.532, 0.955, -0.429)  0.467
H (-3.047, -3.149, -0.521)  0.376
Si (3.160, 0.823, -5.081)  0.542
H (-2.594, 0.022, -2.363)  0.321
C (-1.301, 2.442, 6.490)  -0.468
C (-4.743, -0.664, 1.032)  -0.421
H (-3.356, 2.061, -3.530)  0.415
H (-5.281, -4.220, -0.375)  0.423
H (1.452, -3.124, -1.305)  0.228
N (3.268, 1.229, -0.916)  -0.481
H (4.994, 1.734, -3.677)  0.268
H (3.594, 1.527, -1.829)  0.106
H (-3.268, 4.211, 0.172)  0.410
H (5.595, 0.441, -4.725)  0.447
H (4.362, -2.436, 2.677)  0.343
O (-0.513, -1.012, -2.480)  -0.529
H (2.418, -3.266, 1.398)  0.292
O (3.914, -2.323, -0.983)  -0.794
H (-7.162, -3.008, 0.675)  0.364
C (1.442, -2.361, -2.089)  -0.408
C (-1.392, 2.554, 4.091)  -0.685
C (-0.210, 0.763, 5.149)  -0.090
H (1.999, -2.792, -2.926)  0.398
P (-1.974, -0.640, 0.318)  0.647
H (-3.096, -1.287, 3.213)  0.261
C (3.381, -0.616, 3.265)  -0.863
H (4.367, 1.236, -7.224)  0.321
H (-2.546, 2.160, 1.341)  0.191
C (-2.037, -1.273, 2.953)  -1.009
O (-0.611, -3.202, -2.900)  -0.780
C (2.221, 0.141, 3.184)  -0.819
-- stop --

quick call vosa, elf n safety and the duke blimey wats this place become, only another 30years to go if im unlucky

quick call vosa, elf n safety and the duke blimey wats this place become, only another 30years to go if im unlucky

Next to the text, the page also holds calculated molecules.
~~~
1.
The following is a quantum chemistry calculation of a molecular structure, C27H31Br36N2O3 at a distorted geometry, from the OMol25 dataset.

Computed properties:
- F_max (eV Å⁻¹) = 10.19
- highest occupied orbital energy (eV) = -4.5
- calculated total energy (hartree) = -94046.347354
- orbital gap (eV) = 4.88
- lowest unoccupied orbital energy (Ha) = 0.013

```
! RIJCOSX wB97M-V def2-TZVPD def2/J DEFGRID3
* xyz -1 1
C 2.340 0.667 -1.040
C 1.607 0.727 -2.255
C 0.686 0.805 -3.608
N 1.068 1.858 -4.608
O 0.958 3.064 -4.026
C -0.205 3.800 -4.578
C -0.553 4.976 -3.446
C 2.433 1.703 -5.209
N 3.508 2.546 -4.487
C 3.037 0.195 -5.304
C 2.206 -0.880 -6.205
C 1.811 -2.328 -5.466
C 0.965 -3.528 -6.220
C 0.491 -3.287 -7.781
C -0.397 -4.458 -8.522
C 0.889 -1.912 -8.584
C 1.743 -0.741 -7.767
C 2.341 2.428 -6.717
O 1.140 2.452 -7.334
O 3.512 3.062 -7.344
H 2.857 0.232 -0.057
H 0.590 -0.286 -4.021
H -0.412 1.092 -3.232
H -1.158 3.114 -4.749
H 0.157 4.319 -5.583
H -1.626 4.792 -3.001
H 0.232 4.876 -2.558
H -0.407 6.027 -3.943
H 3.435 2.441 -3.454
H 3.412 3.556 -4.760
H 3.258 -0.314 -4.246
H 4.116 0.292 -5.807
H 2.140 -2.511 -4.340
H 0.690 -4.530 -5.656
H -0.510 -4.179 -9.658
H 0.056 -5.518 -8.322
H -1.482 -4.421 -8.032
H 0.598 -1.696 -9.720
H 2.011 0.221 -8.374
C 0.762 1.206 2.904
Br 1.708 1.566 1.243
Br -0.384 2.690 3.422
Br -0.217 -0.474 2.830
H 1.520 1.099 3.687
C -3.377 1.519 6.429
Br -2.065 0.216 7.035
Br -2.868 3.335 6.906
Br -3.742 1.346 4.526
H -4.312 1.300 6.955
C 2.505 -3.981 2.356
Br 1.039 -3.846 3.628
Br 2.422 -2.584 1.005
Br 4.234 -4.025 3.246
H 2.389 -4.937 1.834
C -0.996 -5.468 -3.071
Br -1.028 -4.634 -4.829
Br 0.814 -5.612 -2.371
Br -2.186 -4.569 -1.822
H -1.373 -6.488 -3.194
C -5.327 -2.435 3.374
Br -5.441 -3.060 5.212
Br -3.504 -1.973 2.878
Br -6.116 -3.704 2.128
H -5.918 -1.516 3.311
C -2.432 -2.273 10.525
Br -4.120 -2.353 9.561
Br -2.277 -3.705 11.833
Br -0.910 -2.230 9.315
H -2.426 -1.330 11.081
C -1.430 6.361 9.217
Br -1.297 8.026 10.213
Br -0.312 6.377 7.626
Br -1.068 4.814 10.341
H -2.468 6.273 8.878
C -2.691 0.850 -0.249
Br -1.745 1.210 -1.911
Br -3.837 2.334 0.268
Br -3.670 -0.830 -0.324
H -1.932 0.743 0.533
C 6.090 -1.798 0.070
Br 7.549 -0.628 0.602
Br 4.645 -0.812 -0.781
Br 6.710 -3.273 -1.036
H 5.681 -2.236 0.987
C 2.489 2.749 9.925
Br 0.820 2.113 9.155
Br 2.663 2.242 11.795
Br 4.030 2.188 8.877
H 2.461 3.843 9.891
C 0.631 0.433 -12.306
Br -0.689 0.595 -10.886
Br 1.540 -1.286 -12.258
Br -0.141 0.795 -14.055
H 1.390 1.201 -12.126
C -5.815 -0.906 13.169
Br -4.402 0.081 12.268
Br -6.520 0.070 14.697
Br -7.224 -1.438 11.938
H -5.366 -1.826 13.557
*
```

Atomic partial charges in e from the Mulliken method, atoms 1 to 5: atom 1 (C): -1.575, atom 2 (C): 0.973, atom 3 (C): 0.192, atom 4 (N): 0.435, atom 5 (O): -0.257

***

2.
The following is a quantum chemistry calculation of a molecular structure, C27H31KN6O4S at a distorted geometry, from the OMol25 dataset.

Computed properties:
- F_max (eV Å⁻¹) = 1.10
~~~

Excellent. Thanks for the clarification.